[Work order]
Could you reproduce the listing further down from the line with "0.81125 0.78969" to the end word for word?

[Contents]
/*
(1)
Entry from the OMol25 dataset: a molecular structure, C6H9AsFS4Ta (the ωB97M-V functional and the def2-TZVPD basis).

Last column: natural (NBO) charge in e.
Atoms and positions in Å:
Ta -0.03540 0.58300 0.80720  1.64
As 1.96660 -0.49950 2.20990  0.87
S -0.09510 -0.81900 2.94100  -0.46
S 1.51950 -1.04400 -0.01180  -0.35
S 1.79670 1.71990 2.05490  -0.37
S 3.58240 -1.37360 3.16500  -0.42
F 0.18680 2.00230 -0.49630  -0.56
C -3.30350 0.39560 0.32420  0.32
C -5.24970 -0.71460 1.23500  -0.58
C -5.46890 1.50260 0.07350  -0.58
C -4.72230 0.16540 0.09390  -0.20
C -2.11970 0.55540 0.54470  -0.68
C -4.90020 -0.53100 -1.26100  -0.58
H -4.37470 -1.48280 -1.28210  0.22
H -4.51040 0.09790 -2.05900  0.22
H -5.07330 -0.23050 2.19360  0.22
H -5.95730 -0.71520 -1.44000  0.21
H -5.11070 2.12620 -0.74230  0.22
H -5.32780 2.03660 1.00980  0.22
H -6.31870 -0.87590 1.11410  0.21
H -4.74770 -1.67990 1.23860  0.22
H -6.53230 1.31600 -0.06480  0.21

Values from the calculation:
Multiplicity: 1
LUMO (eV): -2.13
DFT total energy (hartree): -4219.4828
Gap between HOMO and LUMO (eV): 7.1692
Highest occupied orbital energy (eV): -9.302

(2)
Entry from the OMol25 dataset: C3H4N2O in the gas phase (the ωB97M-V functional and the def2-TZVPD basis).

Last column: natural (NBO) charge in e.
Atoms and positions in Å:
O 0.85396 -1.07205 0.52418  -0.29
N 2.17422 -0.61407 0.44263  0.09
N 2.15806 0.54116 -0.04934  -0.19
C 0.86843 0.91973 -0.32622  -0.19
C 0.06440 -0.10945 0.04202  0.30
C -1.40388 -0.34117 0.03175  -0.66
H -1.61116 -1.41180 0.08321  0.24
H -1.88232 0.14479 0.88716  0.24
H -1.85050 0.06397 -0.87879  0.24
H 0.62878 1.87888 -0.75660  0.23

Values from the calculation:
SMILES: Cc1cnno1
Multiplicity: 1
LUMO (eV): 0.84
DFT total energy (hartree): -301.4080
Gap between HOMO and LUMO (eV): 10.9329
Highest occupied orbital energy (eV): -10.089

(3)
Entry from the OMol25 dataset: 7 unconnected molecules or ions with the total composition C4H21NO7 (the ωB97M-V functional and the def2-TZVPD basis).

Last column: natural (NBO) charge in e.
Atoms and positions in Å:
O 3.14245 0.67122 1.17184  -0.59
O -1.93838 -2.62993 1.60046  -0.93
O 4.19822 -1.62616 -0.26222  -0.96
O -3.02289 3.55426 0.45919  -0.93
O 4.01542 1.54914 -1.31896  -0.95
O -3.72575 -0.15992 2.06220  -0.97
O -2.74617 -1.44336 -1.74268  -0.94
N -1.20707 0.29162 -0.12082  -0.90
C 0.14585 0.47148 -0.48917  -0.02
C 0.81125 0.78969 0.96774  -0.52
C 0.72487 -0.70984 -1.35274  -0.65
C 2.21190 1.25155 0.66850  0.43
H 3.24752 -1.71174 -0.15844  0.47
H 1.68871 -0.43234 -1.80213  0.22
H -3.50209 -0.87999 2.57487  0.49
H 0.11955 1.62493 1.19370  0.24
H -2.41888 -2.33254 -1.52589  0.48
H 0.11089 -1.00173 -2.25166  0.22
H -1.41534 -0.18212 0.74233  0.34
H -3.23642 0.60092 2.05499  0.48
H 0.23426 1.30815 -1.17956  0.19
H 0.85630 -1.70627 -0.75873  0.19
H -3.69694 -1.46618 -1.62111  0.49
H -2.02071 3.95530 0.35092  0.46
H 4.02987 1.05942 -2.24021  0.47
H -1.85834 -0.07793 -0.87658  0.41
H 4.54988 -1.32012 0.64960  0.49
H 2.49626 2.12768 0.01063  0.17
H -2.82065 2.68698 0.24405  0.46
H 4.41360 0.80326 -0.83425  0.49
H 0.84689 -0.05061 1.63159  0.23
H -2.30347 -3.23848 1.04465  0.46
H -1.93059 -1.77635 1.10788  0.47

Values from the calculation:
SMILES: C[C@@H](N)CC=O.O.O.O.O.O.O
Multiplicity: 1
LUMO (eV): 0.01
DFT total energy (hartree): -746.3428
Gap between HOMO and LUMO (eV): 9.4377
Highest occupied orbital energy (eV): -9.426

Max |F|? In order: 1.8 0.4 5.6 eV Å⁻¹.


{
  "formula": "C5H11N2O",
  "method": "wB97M-V/def2-TZVPD",
  "symbols": ["O", "C", "C", "C", "C", "C", "N", "N", "H", "H", "H", "H", "H", "H", "H", "H", "H", "H", "H"],
*/

[Response]
C 0.81125 0.78969 0.96774  -0.52
C 0.72487 -0.70984 -1.35274  -0.65
C 2.21190 1.25155 0.66850  0.43
H 3.24752 -1.71174 -0.15844  0.47
H 1.68871 -0.43234 -1.80213  0.22
H -3.50209 -0.87999 2.57487  0.49
H 0.11955 1.62493 1.19370  0.24
H -2.41888 -2.33254 -1.52589  0.48
H 0.11089 -1.00173 -2.25166  0.22
H -1.41534 -0.18212 0.74233  0.34
H -3.23642 0.60092 2.05499  0.48
H 0.23426 1.30815 -1.17956  0.19
H 0.85630 -1.70627 -0.75873  0.19
H -3.69694 -1.46618 -1.62111  0.49
H -2.02071 3.95530 0.35092  0.46
H 4.02987 1.05942 -2.24021  0.47
H -1.85834 -0.07793 -0.87658  0.41
H 4.54988 -1.32012 0.64960  0.49
H 2.49626 2.12768 0.01063  0.17
H -2.82065 2.68698 0.24405  0.46
H 4.41360 0.80326 -0.83425  0.49
H 0.84689 -0.05061 1.63159  0.23
H -2.30347 -3.23848 1.04465  0.46
H -1.93059 -1.77635 1.10788  0.47

Values from the calculation:
SMILES: C[C@@H](N)CC=O.O.O.O.O.O.O
Multiplicity: 1
LUMO (eV): 0.01
DFT total energy (hartree): -746.3428
Gap between HOMO and LUMO (eV): 9.4377
Highest occupied orbital energy (eV): -9.426

Max |F|? In order: 1.8 0.4 5.6 eV Å⁻¹.


{
  "formula": "C5H11N2O",
  "method": "wB97M-V/def2-TZVPD",
  "symbols": ["O", "C", "C", "C", "C", "C", "N", "N", "H", "H", "H", "H", "H", "H", "H", "H", "H", "H", "H"],